He’s rich. He’s pugilistic. And he’s quietly paying to get Gavin Newsom’s attention.
The organization trying to qualify another rent control ballot measure in California is paying $2 per signature for a letter to the Democratic governor — and it’s not disclosing who is funding the correspondence.

SACRAMENTO, Calif. — On the surface, it gives off the appearance of an organic movement of concerned citizens. A draft letter intended for Gov. Gavin Newsom demands that he do more to help lower the exorbitant cost of housing in California.
But the draft letter, which seeks support for a proposed ballot initiative to enact rent control on residential properties, hasn’t made its way through California circles by mere word of mouth. Michael Weinstein, a polarizing nonprofit honcho from Los Angeles, is paying roving pamphleteers $2 for every signature they get for it, according to copies of the nonprofit’s correspondence obtained by POLITICO and interviews with people familiar with the strategy.
Weinstein, the sharp-elbowed head of AIDS Healthcare Foundation, is a divisive force in California’s über-expensive ballot wars, having locked horns with major players while trying unsuccessfully to push through initiatives on everything from housing development to drug prices to mandating condoms in porn. His latest gambit is again making him a target for scorn among critics who say he is using his group’s coffers to bolster his standing and strengthen his hand politically.
It’s also opening a window into yet another way powerful individuals and groups can wield influence in the state, often without public scrutiny and far outside the Capitol.
Critics of Weinstein’s latest approach say it is pure “astroturf activism,” designed to look like he has a groundswell of support for his corresponding ballot initiative in an attempt to pressure Newsom to back it. And ethics experts contend Weinstein and AHF should be transparent about paying people to get signatures for the draft letter, which references by name the proposed new ballot initiative. California law on campaign advertising requires general or public communication that’s authorized and paid for by a committee to support a ballot measure to contain a “paid for by” disclaimer.
Ann Ravel, former head of the state’s political and campaign ethics watchdog and chair of the Federal Election Commission, told POLITICO she believes the draft letter for Newsom must require a disclosure that states who is paying for it.
“It is definitely a form of advertising and clearly for a political purpose,” Ravel said.
Weinstein, himself a former candidate for Los Angeles City Council, has tried for years to cap rents in California. He has argued that affordable housing policy aligns with the foundation’s objectives and has spent tens of millions of dollars in recent years on failed statewide and local bids to limit rents and curb development.
Newsom opposed two of those statewide efforts. One of them was Proposition 21 in 2020, which the governor suggested was unnecessary since California had already passed sweeping rent control — enacting the nation’s strongest rent caps and protections. Newsom also said it risked discouraging the availability of affordable housing. Before that, Newsom opposed Weinstein’s Proposition 10 in 2018, saying it may have unintended consequences on housing production that could be deeply problematic.
Proposition 21 and Proposition 10 each were defeated by about 20 percentage points.
Weinstein’s latest initiative — to repeal a 1995 state law known as Costa-Hawkins that prevents localities from limiting rental costs on certain properties — was submitted to the state late last year. He has until late August to gather nearly 550,000 signatures from registered voters to qualify the measure for the ballot. A fiscal analysis by the state found that AHF’s proposed repeal would lead to a possible drop in state and local revenues “in the high tens of millions of dollars per year over time,” depending on how localities responded to it.
Weinstein’s corresponding draft letter hasn’t been publicized until now. But his pay-per-signature campaign represents a novel wrinkle in a system designed to promote direct democracy by ordinary citizens yet is often used by moneyed interests to circumvent the legislative process.
In the documents obtained by POLITICO, the draft letter calls on Newsom’s support for “real rent control.” It charges that prior legislation the governor signed to impose “rent caps” on certain residential rentals still allows 10 percent yearly increases, “which Californians can’t afford.”
The draft letter goes on to argue that even if Newsom doesn’t come out in favor of AHF’s repeal proposal, called the Justice for Renters Act, he should not use his political capital to oppose it.
“Keep your promise,” the draft states. “Don’t stand with corporate landlords against renters.”
Ged Kenslea, a longtime spokesperson for AHF, defended its use of the paid letter. In a statement, he said voters have a right to place a petition on the ballot and also have a right to sign a letter to the governor. “Critics of our efforts are simply trying to silence the voice of voters before they would even have a chance to consider the issue,” he said.
What comes next are calculated crystals, not part of the text.
1.
Nd2ScAl2Pt5: optimized geometry, PBE-GGA.

total DFT energy (no corrections): -127.90 eV/cell
magnetization: 0.000 μB per formula unit
calculated volume: 382.3 Å³/cell
energy of formation: -1003 kJ/mol of formula units

a b c (Å): 10.474 10.474 3.485
angles (deg): 90.00 90.00 90.00
Element x y z (fractional)
Nd 0.177 0.323 0.000
Nd 0.323 0.823 0.000
Nd 0.677 0.177 0.000
Nd 0.823 0.677 0.000
Sc 0.000 0.000 0.000
Sc 0.500 0.500 0.000
Al 0.124 0.624 0.000
Al 0.376 0.124 0.000
Al 0.624 0.876 0.000
Al 0.876 0.376 0.000
Pt 0.000 0.500 0.500
Pt 0.057 0.793 0.500
Pt 0.207 0.057 0.500
Pt 0.293 0.557 0.500
Pt 0.443 0.293 0.500
Pt 0.500 0.000 0.500
Pt 0.557 0.707 0.500
Pt 0.707 0.443 0.500
Pt 0.793 0.943 0.500
Pt 0.943 0.207 0.500

---

2.
Ac2PmPuS4: optimized geometry, PBE-GGA.

total DFT energy (no corrections): -59.35 eV/cell
magnetization: 5.769 μB per formula unit
calculated volume: 203.0 Å³/cell
raw formation energy: -1943 meV/atom

a b c (Å): 7.180 4.130 7.248
angles (deg): 90.00 109.16 90.00
Element x y z (fractional)
Ac 0.000 0.000 0.000
Ac 0.500 0.500 0.000
Pm 0.000 0.500 0.500
Pu 0.500 0.000 0.500
S 0.246 0.000 0.730
S 0.261 0.500 0.272
S 0.739 0.500 0.728
S 0.754 0.000 0.270
The calculated crystals stop here.
The foundation also doesn’t believe a disclosure is warranted in this case, arguing that the letter is not meant for the public but for Newsom, an elected official.
“It’s democracy at work,” Kenslea said, before again turning attention to AHF’s critics. “It is unconscionable that opponents to rent control and who seek unbridled profits for corporate developers are making a concerted effort to undermine the voices of community members concerned about skyrocketing rents and homelessness.”
The fresh political ire directed at AHF comes as the organization sustains a barrage of attacks for failing to disclose financial payments to influencers and consultants. The group is also enduring criticism over its past scorched-earth campaigns and legal showdowns that have made Weinstein a pariah to many in the capital and around Los Angeles where he’s based. Last month, a Los Angeles Times investigation found potential conflicts-of-interest and disclosure failures involving AHF. California officials said last year they would refuse contracts with AHF to provide medicine and advocacy for hundreds of HIV-positive patients after accusing the nonprofit of improper tactics during health care plan rate negotiations. Weinstein countered the state was retaliating against him for pushing for higher rates.
Democrats who have faced off against Weinstein predicted that the backlash over the paid-for letter would make the effort pointless.
“The guy has such sub-zero credibility that it won’t be worth a grain of salt,” said Steve Maviglio, a Democratic strategist in Sacramento. “If his fingerprints are on it, it’s irrelevant to policymakers in California.”
Crystal structures that have nothing to do with the entry =
# 1
MgMnMo4: relaxed, PBE. Values from VASP.

Structure (Quantum ESPRESSO input):
```
&SYSTEM
  ibrav = 0, nat = 6, ntyp = 3
/
ATOMIC_SPECIES
Mg 24.30 Mg.upf
Mn 54.94 Mn.upf
Mo 95.94 Mo.upf
CELL_PARAMETERS angstrom
3.504 -3.831 -0.746
-0.160 -4.317 2.975
-1.513 -4.569 -2.087
ATOMIC_POSITIONS angstrom
Mg 1.373 -9.538 0.107
Mn 0.000 0.000 0.000
Mo 2.431 -6.683 -0.318
Mo -0.065 -7.050 -0.984
Mo 0.608 -6.924 1.533
Mo 0.688 -4.777 0.053
```

The calculation puts the theoretical density at 7.53 Mg/m³. As for the space group: F-43m (216). Its formation energy is 0.408 eV per atom. The value obtained for the final energy is -8.607 eV per atom.

# 2
MgMn2Mo: relaxed, PBE. Values from VASP.

Structure (Quantum ESPRESSO input):
```
&SYSTEM
  ibrav = 0, nat = 4, ntyp = 3
/
ATOMIC_SPECIES
Mg 24.30 Mg.upf
Mn 54.94 Mn.upf
Mo 95.94 Mo.upf
CELL_PARAMETERS angstrom
4.324 0.000 0.000
2.162 3.744 0.000
2.162 1.248 3.530
ATOMIC_POSITIONS angstrom
Mg 4.324 2.496 1.765
Mn 0.000 0.000 0.000
Mn 6.486 3.744 2.648
Mo 2.162 1.248 0.883
```

The calculation puts the theoretical density at 6.69 Mg/m³. As for the space group: F-43m (216). Its formation energy is 0.404 eV per atom. The value obtained for the final energy is -7.287 eV per atom.

# 3
MgMn2Mo: relaxed, PBE. Values from VASP.

Structure (Quantum ESPRESSO input):
```
&SYSTEM
  ibrav = 0, nat = 4, ntyp = 3
/
ATOMIC_SPECIES
Mg 24.30 Mg.upf
Mn 54.94 Mn.upf
Mo 95.94 Mo.upf
CELL_PARAMETERS angstrom
-2.422 0.560 3.505
2.106 -0.521 1.538
1.960 4.684 0.607
ATOMIC_POSITIONS angstrom
Mg 1.854 3.468 3.362
Mn 0.012 0.011 0.006
Mn -0.125 1.360 2.330
Mo 1.936 1.965 1.024
```

The calculation puts the theoretical density at 6.66 Mg/m³. As for the space group: Pm (6). Its formation energy is 0.331 eV per atom. The value obtained for the final energy is -7.360 eV per atom.

# 4
MgMn2Mo: relaxed, PBE. Values from VASP.

Structure (Quantum ESPRESSO input):
```
&SYSTEM
  ibrav = 0, nat = 4, ntyp = 3
/
ATOMIC_SPECIES
Mg 24.30 Mg.upf
Mn 54.94 Mn.upf
Mo 95.94 Mo.upf
CELL_PARAMETERS angstrom
4.608 -0.004 0.007
3.824 2.570 0.007
0.362 0.110 5.216
ATOMIC_POSITIONS angstrom
Mg 2.198 0.669 1.307
Mn 8.779 2.672 5.089
Mn 4.412 1.343 2.755
Mo 6.595 2.007 3.922
```

The calculation puts the theoretical density at 6.18 Mg/m³. As for the space group: C2/m (12). Its formation energy is 0.386 eV per atom. The value obtained for the final energy is -7.305 eV per atom.

# 5
MgMn2Mo: relaxed, PBE. Values from VASP.

Structure (Quantum ESPRESSO input):
```
&SYSTEM
  ibrav = 0, nat = 4, ntyp = 3
/
ATOMIC_SPECIES
Mg 24.30 Mg.upf
Mn 54.94 Mn.upf
Mo 95.94 Mo.upf
CELL_PARAMETERS angstrom
3.071 0.000 0.000
0.000 3.071 0.000
0.000 0.000 6.460
ATOMIC_POSITIONS angstrom
Mg 1.535 1.535 4.845
Mn 0.000 0.000 0.242
Mn 0.000 0.000 2.988
Mo 1.535 1.535 1.615
```

The calculation puts the theoretical density at 6.27 Mg/m³. As for the space group: P4/mmm (123). Its formation energy is 0.212 eV per atom. The value obtained for the final energy is -7.479 eV per atom.

# 6
Back to the entry =
POLITICO spoke with a person approached by a signature gatherer in Sacramento who said they were asked to sign both the proposed ballot measure and the draft letter to Newsom separately. (It is standard practice for organizations and individuals to pay for signatures on ballot measures themselves and, indeed, on the documents related to the current ballot measure, AHF’s role is disclosed).
Another person familiar with the operation confirmed that the draft letter did not contain a disclosure and provided a photograph of it taken at the site.
POLITICO also reviewed voicemail recordings from a signature-gathering firm verifying that the campaign was paying $5 total for both signatures (one on the letter, the other on the ballot measure) as recently as April 6, including $3 for a signature for the rent control measure and another $2 for a signature for the letter.
=====
(1)
! Tb2Pr7Sm2 GGA-PBE optimized geometry; values from VASP
! Final energy: -50.8 eV per formula unit
! Energy above the most stable polymorph in this dataset: 0 meV per atom
&SYSTEM
  ibrav = 0, nat = 11, ntyp = 3
/
ATOMIC_SPECIES
Tb 158.93 Tb.upf
Pr 140.91 Pr.upf
Sm 150.36 Sm.upf
ATOMIC_POSITIONS crystal
Tb 0.2122 0.7878 0.0000
Tb 0.7878 0.2122 0.0000
Pr 0.0122 0.5915 0.3291
Pr 0.3038 0.3038 0.0200
Pr 0.4085 0.9878 0.6709
Pr 0.5000 0.5000 0.5000
Pr 0.5915 0.0122 0.3291
Pr 0.6962 0.6962 0.9800
Pr 0.9878 0.4085 0.6709
Sm 0.0828 0.0828 0.3215
Sm 0.9172 0.9172 0.6785
CELL_PARAMETERS angstrom
4.3377 -5.5495 0.0000
4.3377 5.5495 0.0000
-2.0199 0.0000 8.1378

***

(2)
! LiCuNiH3 GGA-PBE optimized geometry; values from VASP
! Final energy: -22.7 eV per formula unit
&SYSTEM
  ibrav = 0, nat = 12, ntyp = 4
/
ATOMIC_SPECIES
Li 6.94 Li.upf
Cu 63.55 Cu.upf
Ni 58.69 Ni.upf
H 1.01 H.upf
ATOMIC_POSITIONS crystal
Li 0.0505 0.2500 0.3251
Li 0.9495 0.7500 0.6749
Cu 0.2783 0.2500 0.0020
Cu 0.7217 0.7500 0.9980
Ni 0.4746 0.2500 0.6633
Ni 0.5254 0.7500 0.3367
H 0.1902 0.2500 0.7341
H 0.2180 0.7500 0.1400
H 0.3445 0.7500 0.5162
H 0.6555 0.2500 0.4838
H 0.7820 0.2500 0.8600
H 0.8098 0.7500 0.2659
CELL_PARAMETERS angstrom
4.9302 0.0000 0.0000
0.0000 2.8629 0.0000
-1.8864 0.0000 6.3253

***

(3)
! ScMo4 GGA-PBE optimized geometry; values from VASP
! Final energy: -47.5 eV per formula unit
! Energy above the most stable polymorph in this dataset: 431 meV per atom
&SYSTEM
  ibrav = 0, nat = 5, ntyp = 2
/
ATOMIC_SPECIES
Sc 44.96 Sc.upf
Mo 95.94 Mo.upf
ATOMIC_POSITIONS crystal
Sc 0.0000 0.0000 0.0000
Mo 0.2500 0.7500 0.5000
Mo 0.3803 0.3803 0.0000
Mo 0.6197 0.6197 0.0000
Mo 0.7500 0.2500 0.5000
CELL_PARAMETERS angstrom
-2.1506 2.1506 5.2441
2.1506 -2.1506 5.2441
2.1506 2.1506 -5.2441

***

(4)
! Tl2SeF2 GGA-PBE optimized geometry; values from VASP
! Final energy: -17.6 eV per formula unit
! Formation energy from raw total energies: -1.124 eV/atom
&SYSTEM
  ibrav = 0, nat = 5, ntyp = 3
/
ATOMIC_SPECIES
Tl 204.38 Tl.upf
Se 78.96 Se.upf
F 19.00 F.upf
ATOMIC_POSITIONS crystal
Tl 0.1314 0.1314 0.0000
Tl 0.8686 0.8686 0.0000
Se 0.5000 0.5000 0.0000
F 0.2500 0.7500 0.5000
F 0.7500 0.2500 0.5000
CELL_PARAMETERS angstrom
-1.9610 1.9610 6.5896
1.9610 -1.9610 6.5896
1.9610 1.9610 -6.5896

***

(5)
! CrAg2Ru GGA-PBE optimized geometry; values from VASP
! Final energy: -22.6 eV per formula unit
! Energy above the most stable polymorph in this dataset: 227 meV per atom
&SYSTEM
  ibrav = 0, nat = 4, ntyp = 3
/
ATOMIC_SPECIES
Cr 52.00 Cr.upf
Ag 107.87 Ag.upf
Ru 101.07 Ru.upf
ATOMIC_POSITIONS crystal
Cr 0.0000 0.0000 0.0000
Ag 0.0000 0.5000 0.5000
Ag 0.5000 0.0000 0.5000
Ru 0.5000 0.5000 0.0000
CELL_PARAMETERS angstrom
3.7954 0.0000 0.0000
0.0000 3.7954 0.0000
0.0000 0.0000 4.3824

***

(6)
! CdSi2O2 GGA-PBE optimized geometry; values from VASP
! Final energy: -23.0 eV per formula unit
! Energy above the most stable polymorph in this dataset: 534 meV per atom
=====
So much for the materials data
Ravel, who believes the law requires AHF to disclose its role on the letter, added that it might be different if the draft letter advocated the issue more generally versus being part of a paid campaign that clearly states the name of the measure.
Others aren’t so sure, however. AHF may have some legal wiggle room on the disclosure piece, said Jessica Levinson, former president of the Los Angeles Ethics Commission.
“Any good lawyer would make the argument that it’s not an ad but could later show up as a datapoint in an advertisement,” Levinson said.
But, she concluded the emerging letter campaign does strike her as a workaround.
“It’s one more example of what we always say: ‘We create a law and then people change their behavior or embark on new behavior in ways that push the boundaries of that law,’” she said.